The Kouros Marriage Revenge - Page 12

He shrugged, his face closed, belying the fact that he had loved Dimitri like a father. Something he would have credited Kallie with knowing…once.

‘It was sudden.’ His black gaze fixed on Kallie. ‘It’s part of the reason I’ve asked you here.’

Along with the burning desire that holds you in a grip so tight you have to shift in your seat every two seconds.

A pulse beat at his temple.

Kallie’s face felt rigid. She couldn’t help the sarcastic response. ‘Well, I was wondering…You were hardly calling to reminisce about old times.’

Shut up, Kallie!

He didn’t seem to notice her self-flagellating turmoil. The waiter appeared, removing their plates. Kallie refused dessert, ordering a coffee, Alexandros asked for a liqueur. He waited until his drink arrived before fixing her with that intense gaze again. He wasn’t going to make this easy. Kallie’s full armour was erected against him.

‘I have to admit that bumping into you was a shock…but also perfect timing, a certain kind of serendipity, if you will.’

____________
12
Lattice="-5.097 -4.617 -2.633 5.145 -2.464 4.657 -4.196 3.877 4.751" Properties=species:S:1:pos:R:3 comment="Na3Nd2SbSe6, relaxed, DFT GGA-PBE" e_tot_ev_per_atom=-4.545 e_form_raw_ev_per_atom=-1.334 pbc="T T T"
Na 1.373 -0.877 5.841
Se -2.645 -1.150 0.415
Se 0.697 -0.448 2.794
Se -0.941 -4.415 2.625
Na -5.522 -2.326 0.933
Sb 0.000 0.000 0.000
Nd 1.734 -3.181 2.229
Se -1.503 -2.053 6.360
Na -2.074 -1.602 3.387
Se -3.208 1.212 4.150
Se -4.846 -2.756 3.981
Nd -1.686 -3.900 -0.205

=====

12
Lattice="-0.184 -4.729 -5.548 -0.200 -2.430 6.872 -6.902 2.746 -0.517" Properties=species:S:1:pos:R:3 comment="Na3NdSb2Se6, relaxed, DFT GGA-PBE" e_tot_ev_per_atom=-4.144 e_form_raw_ev_per_atom=-0.987 pbc="T T T"
Se -5.587 -3.671 -1.516
Nd 0.000 0.000 0.000
Se -1.694 -1.525 -1.908
Sb -0.195 -3.196 2.732
Na -3.643 -2.206 0.404
Na -3.648 -1.446 4.511
Se -5.592 -2.887 2.716
Sb -0.190 -3.962 -1.407
Se -5.385 0.225 -0.048
Na -3.638 -2.966 -3.704
Se -1.901 -4.637 0.856
Se -1.699 -0.742 2.324

~~~~~

Entry from Alexandria: crystalline LiTlBi4 at its relaxed geometry (PBE).

Geometry as POSCAR:
```
LiTlBi4
1.0
0.0000 4.6951 4.6951
4.6951 0.0000 4.6951
4.6951 4.6951 0.0000
Li Tl Bi
1 1 4
direct
0.0000 0.0000 0.0000 Li
0.2500 0.2500 0.2500 Tl
0.1258 0.6247 0.6247 Bi
0.6247 0.1258 0.6247 Bi
0.6247 0.6247 0.1258 Bi
0.6247 0.6247 0.6247 Bi
```

## Properties
SG   F-43m, No. 216
Energy relative to the elements   0.0558 eV per atom

~~~~~

Record 1
Nd6Bi3C: optimized geometry, PBE.

Magnetization = 0.011 μB/cell
Energy of formation = -5.491 eV per formula unit
Theoretical density = 8.0 Mg/m³
Volume = 31.220 A^3/atom

Structure (POSCAR):
```
Nd6Bi3C
1.0
6.807 0.000 0.000
0.000 8.466 0.000
-6.554 0.000 10.835
Nd Bi C
12 6 2
Cartesian
-0.840 0.361 2.436
-4.117 3.872 7.854
0.878 6.118 0.586
-2.399 6.581 6.003
2.232 1.288 0.536
-1.045 2.946 5.953
1.298 5.521 4.882
-1.979 7.179 10.300
2.652 1.885 4.832
-0.625 2.348 10.249
4.370 4.594 2.981
1.093 8.105 8.399
-2.703 0.917 8.064
0.574 3.316 2.647
0.127 0.000 5.418
3.403 4.233 0.000
-0.321 5.150 8.188
2.956 7.549 2.771
0.000 0.000 0.000
-3.277 4.233 5.418
```

Record 2
Nd4Bi2C: optimized geometry, PBE.

Magnetization = 0.000 μB/cell
Energy of formation = -4.108 eV per formula unit
Theoretical density = 7.9 Mg/m³
Volume = 30.264 A^3/atom

Structure (POSCAR):
```
Nd4Bi2C
1.0
-2.527 2.527 8.294
2.527 -2.527 8.294
2.527 2.527 -8.294
Nd Bi C
4 2 1
Cartesian
2.527 0.000 0.000
0.000 0.000 2.578
0.000 2.527 0.000
0.000 0.000 14.010
0.000 0.000 5.927
0.000 0.000 10.660
0.000 0.000 0.000
```

Record 3
Nd7Bi2C2: optimized geometry, PBE.

Magnetization = 0.000 μB/cell
Energy of formation = -1.156 eV per formula unit
Theoretical density = 7.7 Mg/m³
Volume = 28.311 A^3/atom

Structure (POSCAR):
```
Nd7Bi2C2
1.0
4.095 -5.450 0.000
4.095 5.450 0.000
0.000 0.000 6.978
Nd Bi C
7 2 2
Cartesian
0.000 0.000 0.000
2.047 2.725 1.635
2.047 2.725 5.343
2.047 -2.725 1.635
2.047 -2.725 5.343
4.095 0.000 1.446
4.095 0.000 5.532
1.600 0.000 3.489
____________
Here the page continues

She looked at him warily. ‘Timing, for what exactly?’

He looked at her across the table. He clenched his jaw and refused to let his gaze drop to that shadowy line of her cleavage, the gem on the end of that same pendant swaying back and forth, kissing her skin. Skin that looked soft and…He clenched his jaw even harder and focused with effort.

Think of what you need. Focus on business. This is business. And revenge…Nothing else.

Alexandros valiantly concentrated on that and not on Kallie’s all too grown-up charms. There’d be time for that later, he vowed.

‘I need a convenient wife, and you, Kallie, I’ve decided, are going to oblige me.’

Kallie looked at him dumbly, shock washing through her body.



‘You should be, Kallie. It’s time to start atoning for what you did seven years ago. I bet you never thought it would catch up with you. I have to admit, I hadn’t planned on doing anything, I was quite happy to settle for never crossing your path again, but bumping into you the other night, together with a slightly…’ His mouth twisted as he looked for words. ?

?Unfortunate set of circumstances that I’m in, has all been very fortuitous.’

A nightmare. She had to be stuck in some kind of nightmare. This couldn’t be real. Kallie’s mind disengaged from everything. She looked around dumbly and could see couples dining. Lovers holding hands. Men having business dinners. They looked real. And then everything seemed to rush back into focus. Someone was calling her name.

‘Here, drink this.’

Alexandros was reaching across the table with dark amber liquid in a glass. His after-dinner drink. She shook her head violently and pushed his hand back, snatching hers away abruptly when she felt the strong bones of his wrist.

He looked at her, his voice unbearably harsh. ‘What’s wrong with you?’

She shook her head, ignoring his question. ‘Why on earth do you want to marry me, Alexandros?’ She waved a jerky hand that still tingled from the contact with his. ‘Why would you want to do that?’

He put down his glass, smiled grimly. ‘Don’t worry, Kallie, I don’t want to marry you. When my uncle Dimitri died, he left me his share of Kouros Shipping. It’s the last piece not in my control.’

She looked at him blankly. Still in shock.

‘It was expected. He’d always made it clear where his inheritance would go.’

She nodded vaguely, incapable of speech.

‘But there was a surprise in his will. Dimitri had a sense of humour. He knew how I felt about marriage.’

He answered the look that Kallie hadn’t even been aware of giving. His face was carved from stone as he said the words, ‘I’ll never willingly marry. The woman doesn’t exist who I would marry.’

A knife seemed to enter Kallie’s heart, stunning her with pain and surprise. She felt herself pulling inwards as if to avoid a blow. Alexandros was oblivious to the havoc he was wreaking within her. The havoc she couldn’t even begin to understand. She had done this to him?

Tags: Abby Green Billionaire Romance
Source: Copyright 2016 - 2024